
Contact Citibank CEO William Rhodes

Contact Citibank CEO William Rhodes

NY Tel. 212-559-1000

~~~
*one*
Compound: Ta2Co4O9
Source: the Materials Project
Functional: PBE+U
Structure: relaxed Values from VASP.

## Properties
symmetry	P-3c1, No. 165

```
&SYSTEM
  ibrav = 0, nat = 30, ntyp = 3
/
ATOMIC_SPECIES
Ta 180.95 Ta.upf
Co 58.93 Co.upf
O 16.00 O.upf
ATOMIC_POSITIONS angstrom
Ta 0.000 0.000 2.051
Ta 0.000 0.000 5.106
Ta 0.000 0.000 9.208
Ta 0.000 0.000 12.264
Co 0.000 3.007 0.209
Co 0.000 3.007 4.414
Co 0.000 3.007 7.367
Co 0.000 3.007 11.571
Co 2.604 1.503 2.744
Co 2.604 1.503 6.948
Co 2.604 1.503 9.901
Co 2.604 1.503 14.106
O -0.749 1.298 3.579
O -1.855 3.213 10.736
O -0.777 1.541 13.106
O -1.658 3.067 5.948
O 1.498 0.000 3.579
O 0.749 1.298 10.736
O 0.777 1.541 5.948
O -0.881 4.413 13.106
O 1.723 0.098 8.367
O 0.946 1.443 1.209
O 1.658 3.067 13.106
O 0.881 4.413 5.948
O 3.485 0.098 1.209
O 1.827 2.969 8.367
O 3.710 0.000 10.736
O 1.855 3.213 3.579
O 4.262 1.443 8.367
O 3.381 2.969 1.209
CELL_PARAMETERS angstrom
5.208 0.000 0.000
-2.604 4.510 0.000
0.000 0.000 14.315
```


*two*
Compound: Ta2Co4O9
Source: the Materials Project
Functional: PBE+U
Structure: relaxed Values from VASP.

## Properties
symmetry	P1, No. 1

```
&SYSTEM
  ibrav = 0, nat = 60, ntyp = 3
/
ATOMIC_SPECIES
Ta 180.95 Ta.upf
Co 58.93 Co.upf
O 16.00 O.upf
ATOMIC_POSITIONS angstrom
Ta 0.000 0.000 0.000
Ta 5.200 0.017 7.294
Ta 0.005 8.521 3.067
Ta 0.011 8.504 10.336
Ta 2.603 4.031 7.300
Ta 2.597 4.050 0.003
Ta 2.603 4.486 10.339
Ta 2.605 4.471 3.068
Co 0.006 2.792 2.377
Co 0.005 5.723 0.681
Co 0.013 2.784 9.719
Co 0.022 2.805 5.200
Co 0.023 5.720 12.434
Co 0.028 5.736 7.895
Co 2.587 1.245 12.476
Co 2.588 7.279 5.150
Co 2.605 1.257 2.376
Co 2.605 7.267 0.686
Co 2.621 1.247 5.199
Co 2.622 7.253 7.901
Co 2.625 7.277 12.432
Co 2.625 1.250 9.739
Co 5.186 2.814 12.484
Co 5.188 5.713 5.154
O 0.755 7.421 1.533
O 0.759 1.094 1.533
O 0.862 1.294 6.240
O 0.865 7.228 11.394
O 0.889 1.234 11.037
O 0.891 7.286 6.596
O 0.908 4.202 11.204
O 0.909 4.317 6.432
O 1.132 4.260 1.536
O 1.489 8.736 8.811
O 1.707 2.828 3.774
O 1.706 5.687 13.855
O 1.718 8.670 13.723
O 1.716 8.790 3.915
O 1.757 2.755 13.525
O 1.756 5.765 4.109
O 1.847 5.565 8.826
O 1.852 2.954 8.810
O 3.355 5.568 1.534
O 3.359 2.955 1.534
O 3.462 2.755 6.242
O 3.463 5.765 11.392
O 3.488 2.817 11.038
O 3.491 5.705 6.598
O 3.506 8.672 6.431
O 3.504 8.792 11.197
O 3.732 8.732 1.535
O 4.096 4.266 8.819
O 4.303 7.307 13.854
O 4.305 1.221 3.774
O 4.315 4.202 3.915
O 4.318 4.327 13.727
O 4.356 1.298 13.523
O 4.356 7.227 4.109
O 4.446 1.097 8.804
O 4.445 7.431 8.829
CELL_PARAMETERS angstrom
5.198 0.000 0.000
0.001 8.942 0.000
0.002 0.001 14.564
```


What should be chosen as the least stable of them? Choose *two*.


*one*
Compound: TiCo3O8
Source: the Materials Project
Functional: PBE+U
Structure: relaxed Values from VASP.

```
&SYSTEM
  ibrav = 0, nat = 24, ntyp = 3
/
ATOMIC_SPECIES
Ti 47.87 Ti.upf
Co 58.93 Co.upf
O 16.00 O.upf
ATOMIC_POSITIONS angstrom
Ti -7.544 -7.647 -0.263
Ti -3.673 -5.928 -4.647
Co -2.762 -5.837 -1.919
~~~
End of the records of crystals:

Best Credit Cards For Foreign Travel

Best Credit Cards For Foreign Travel

What credit cards charges the least for overseas purchases?

Citibank's "All-Electronic Program" Sends Paper Notice Stating Account Is Available To View Online

Citibank's "All-Electronic Program" Sends Paper Notice Stating Account Is Available To View Online

After enrolling in Citibank’s “All-Electronic Program,” FiveCentNickel was surprised to find the following notice in his mailbox:

Your Citibank statement is now available at This notification is part of the All-Electronic Program you enrolled in to receive your statements online only instead of in the mail.

How counterintuitive. If Citi needs to send mail, why not send the account statement, rather than a notice that the statement is available online? Better yet, send neither. Or at least change the name to something more accurate, like the “Mostly, But Not Quite All-Electronic Program.” — CAREY GREENBERG-BERGER

Scrounged Up Bank's Fee Schedules

Scrounged Up Bank's Fee Schedules

After more digging, we ferreted out some of those notoriously hard to find bank’s fee schedules. These list all the fees a bank can levy against a consumer’s personal checking or savings account. Most are buried to some extent, limiting consumer’s abilities to shop around.

=====
24
Lattice="4.946 0.000 0.000 0.000 6.146 0.000 -0.020 0.000 10.502" Properties=species:S:1:pos:R:3 comment="CrSbP2O8, relaxed, DFT GGA+U" delta_e_f_ev_per_fu=-28.69 pbc="T T T"
Cr 0.272 1.537 2.261
Cr 4.655 4.610 8.241
Sb 2.249 1.537 7.660
Sb 2.678 4.610 2.842
P 0.421 4.610 0.869
P 1.811 4.610 6.427
P 3.115 1.537 4.075
P 4.506 1.537 9.633
O 0.792 4.610 9.899
O 1.044 3.429 7.193
O 1.044 5.790 7.193
O 1.095 3.387 1.627
O 1.095 5.832 1.627
O 1.087 1.537 9.449
O 1.531 4.610 4.949
O 1.623 1.537 3.739
O 3.304 4.610 6.763
O 3.396 1.537 5.553
O 3.839 4.610 1.053
O 3.831 0.314 8.874
O 3.831 2.759 8.874
O 3.883 0.356 3.309
O 3.883 2.717 3.309
O 4.135 1.537 0.603

92
Lattice="7.965 0.000 0.000 0.000 13.253 0.000 0.000 0.000 10.862" Properties=species:S:1:pos:R:3 comment="CoPH12O9, relaxed, DFT GGA+U" delta_e_f_ev_per_fu=-20.04 pbc="T T T"
Co 0.000 0.000 1.578
Co 0.000 0.000 9.284
Co 3.982 6.627 1.578
Co 3.982 6.627 9.284
P 1.105 6.400 0.000
P 2.877 13.026 0.000
P 5.088 0.227 0.000
P 6.860 6.854 0.000
H 0.144 3.755 2.685
H 0.144 3.755 8.178
H 0.272 3.288 0.376
H 0.272 3.288 10.487
H 0.597 8.157 2.414
H 0.597 8.157 8.449
H 1.062 2.246 4.122
H 1.062 2.246 6.740
H 1.156 5.908 5.431
H 1.245 10.143 5.431
H 1.321 8.544 5.431
H 1.399 13.138 5.431
H 2.584 6.511 5.431
H 2.662 1.917 5.431
H 2.737 3.516 5.431
H 2.827 12.534 5.431
H 2.921 8.873 4.122
H 2.921 8.873 6.740
H 3.385 1.530 2.414
H 3.385 1.530 8.449
H 3.710 9.915 0.376
H 3.710 9.915 10.487
H 3.838 10.382 2.685
H 3.838 10.382 8.178
H 4.127 2.871 2.685
H 4.127 2.871 8.178
H 4.255 3.339 0.376
H 4.255 3.339 10.487
H 4.580 11.723 2.414
H 4.580 11.723 8.449
H 5.044 4.381 4.122
H 5.044 4.381 6.740
H 5.138 0.719 5.431
H 5.228 9.737 5.431
H 5.303 11.336 5.431
H 5.381 6.743 5.431
H 6.566 0.116 5.431
H 6.644 4.709 5.431
H 6.720 3.110 5.431
H 6.809 7.346 5.431
H 6.903 11.007 4.122
H 6.903 11.007 6.740
H 7.367 5.097 2.414
H 7.367 5.097 8.449
H 7.692 9.965 0.376
H 7.692 9.965 10.487
H 7.821 9.498 2.685
H 7.821 9.498 8.178
O 0.278 1.979 3.565
O 0.278 1.979 7.297
O 0.292 4.721 2.564
O 0.292 4.721 8.298
O 0.939 1.310 2.448
O 0.939 1.310 8.414
O 1.319 12.947 0.000
O 1.638 6.750 5.431
O 1.850 9.379 5.431
O 2.132 2.752 5.431
O 2.344 0.123 5.431
O 2.664 6.320 0.000
O 3.043 7.936 2.448
O 3.043 7.936 8.414
O 3.691 11.348 2.564
O 3.691 11.348 8.298
O 3.704 8.606 3.565
O 3.704 8.606 7.297
O 4.261 4.648 3.565
O 4.261 4.648 7.297
O 4.274 1.906 2.564
O 4.274 1.906 8.298
O 4.922 5.317 2.448
O 4.922 5.317 8.414
O 5.301 6.933 0.000
O 5.621 13.130 5.431
O 5.833 10.501 5.431
O 6.115 3.874 5.431
O 6.327 6.504 5.431
O 6.646 0.306 0.000
O 7.026 11.944 2.448
O 7.026 11.944 8.414
O 7.673 8.533 2.564
O 7.673 8.533 8.298
O 7.687 11.274 3.565
O 7.687 11.274 7.297

62
Lattice="2.923 0.000 0.000 0.000 9.044 0.000 0.000 0.000 25.151" Properties=species:S:1:pos:R:3 comment="Li4TiMn8O18, relaxed, DFT GGA+U" delta_e_f_ev_per_fu=-66.17 pbc="T T T"
Li 0.000 0.521 0.000
Li 0.000 0.671 19.926
Li 0.000 3.957 14.737
Li 0.000 3.961 20.469
Li 0.000 5.083 7.894
=====

Reclaim Unnecessary Credit Cards' Unnecessary Foreign Transaction Fees

Reclaim Unnecessary Credit Cards' Unnecessary Foreign Transaction Fees

Several major credit card companies were successfully and recently class-actioned for charging unnecessary fees for overseas transactions.

Universities Settle Allegations Of Citibank Kickbacks For Student Loan Referrals

Universities Settle Allegations Of Citibank Kickbacks For Student Loan Referrals

Eight universities agreed to stop accepting kickbacks from Citibank for private loan referrals, and five agreed to refund a total of $3.27 mil to thousands of students, following an investigation by NY Attorney General Andrew Cuomo (pictured).

Debt Collector Verbally Abuses Disabled Elder

Debt Collector Verbally Abuses Disabled Elder

P. writes:

Walkthrough: Citi 0% Balance Transfer

Walkthrough: Citi 0% Balance Transfer

Blueprint For Financial prosperity has a screen by screen walkthrough for initiating a Citibank 0% balance transfer.

Can Banks Please Stock Working Pens?

How is it that banks can move millions of dollars in a second over a bit of metal wire, but can’t stock working pens at the branch?

NYC RFID Subway Turnstiles Spread

Data records from another source follow:
# Na5MgSiGe3P5O24 (GGA-PBE, relaxed)
data_Na5MgSiGe3P5O24
_chemical_formula_sum 'Na15 Mg3 Si3 Ge9 P15 O72'
_cell_length_a 8.6088
_cell_length_b 8.6416
_cell_length_c 21.6884
_cell_angle_alpha 90.02
_cell_angle_beta 90.11
_cell_angle_gamma 119.86
_space_group_name_H-M_alt 'P 1'
_space_group_IT_number 1
_space_group_name_Hall 'P 1'
loop_
_atom_site_label
_atom_site_type_symbol
_atom_site_fract_x
_atom_site_fract_y
_atom_site_fract_z
_atom_site_occupancy
Na1 Na 0.0000 0.0000 0.0000 1
Na2 Na 0.0018 0.7363 0.5022 1
Na3 Na 0.0066 0.3682 0.2503 1
Na4 Na 0.0094 0.3778 0.7549 1
Na5 Na 0.3165 0.7056 0.3367 1
Na6 Na 0.3400 0.0349 0.9143 1
Na7 Na 0.3431 0.0419 0.4158 1
Na8 Na 0.3745 0.7294 0.0000 1
Na9 Na 0.3790 0.3729 0.5023 1
Na10 Na 0.6385 0.9944 0.4998 1
Na11 Na 0.6456 0.3754 0.0003 1
Na12 Na 0.6675 0.6938 0.5907 1
Na13 Na 0.6726 0.6943 0.0862 1
Na14 Na 0.7121 0.0405 0.1691 1
Na15 Na 0.9764 0.0347 0.6738 1
Mg1 Mg 0.0107 0.3730 0.1085 1
Mg2 Mg 0.6722 0.7030 0.4358 1
Mg3 Mg 0.6726 0.7008 0.9341 1
Si1 Si 0.0500 0.7429 0.6718 1
Si2 Si 0.3467 0.3298 0.6713 1
Si3 Si 0.6753 0.9968 0.3364 1
Ge1 Ge 0.0087 0.3700 0.8969 1
Ge2 Ge 0.0107 0.3754 0.6115 1
Ge3 Ge 0.3343 0.0329 0.7730 1
Ge4 Ge 0.3379 0.0378 0.5744 1
Ge5 Ge 0.3390 0.0363 0.0692 1
Ge6 Ge 0.3427 0.0390 0.2729 1
Ge7 Ge 0.6703 0.6914 0.7353 1
Ge8 Ge 0.6760 0.7023 0.2354 1
Ge9 Ge 0.9992 0.3611 0.3964 1
P1 P 0.0074 0.6572 0.0044 1
P2 P 0.0096 0.0849 0.5045 1
P3 P 0.0523 0.0309 0.1718 1
P4 P 0.2911 0.6554 0.5041 1
P5 P 0.2946 0.3676 0.0043 1
P6 P 0.3381 0.7440 0.1716 1
P7 P 0.3811 0.7047 0.8362 1
P8 P 0.3824 0.4064 0.3367 1
P9 P 0.6260 0.0347 0.6707 1
P10 P 0.6258 0.3290 0.1716 1
P11 P 0.6712 0.4044 0.8368 1
P12 P 0.7170 0.0801 0.0048 1
P13 P 0.7198 0.3647 0.5048 1
P14 P 0.9643 0.7033 0.3367 1
P15 P 0.9668 0.9955 0.8365 1
O1 O 0.0263 0.1910 0.1672 1
O2 O 0.0279 0.5472 0.6627 1
O3 O 0.0513 0.2091 0.4474 1
O4 O 0.0530 0.5794 0.9459 1
O5 O 0.1280 0.8680 0.6075 1
O6 O 0.1317 0.9955 0.1113 1
O7 O 0.1544 0.8689 0.3276 1
O8 O 0.1555 0.0147 0.8294 1
O9 O 0.1590 0.3344 0.6615 1
O10 O 0.1711 0.3223 0.9456 1
O11 O 0.1722 0.5771 0.4447 1
O12 O 0.1737 0.0626 0.2279 1
O13 O 0.1760 0.5641 0.1671 1
O14 O 0.1825 0.8361 0.7288 1
O15 O 0.1829 0.0672 0.5083 1
O16 O 0.1834 0.8504 0.0099 1
O17 O 0.1908 0.5319 0.8411 1
O18 O 0.1956 0.3980 0.3421 1
O19 O 0.2029 0.5307 0.5595 1
O20 O 0.2149 0.4019 0.0602 1
O21 O 0.2951 0.1901 0.7273 1
O22 O 0.3098 0.8454 0.5096 1
O23 O 0.3120 0.1916 0.0094 1
O24 O 0.3119 0.8357 0.2289 1
O25 O 0.3565 0.2184 0.3272 1
O26 O 0.3639 0.8745 0.8280 1
O27 O 0.3829 0.2488 0.6063 1
O28 O 0.3846 0.8706 0.1128 1
O29 O 0.4650 0.5336 0.2800 1
O30 O 0.4674 0.6677 0.7788 1
O31 O 0.4770 0.6751 0.5006 1
O32 O 0.4838 0.5272 0.9971 1
O33 O 0.4851 0.7363 0.8957 1
O34 O 0.4877 0.4766 0.3961 1
O35 O 0.4930 0.0133 0.3265 1
O36 O 0.5038 0.2169 0.8272 1
O37 O 0.5095 0.2477 0.1110 1
O38 O 0.5136 0.9978 0.6089 1
O39 O 0.5166 0.7358 0.1762 1
O40 O 0.5184 0.5272 0.6777 1
O41 O 0.5232 0.0625 0.0098 1
O42 O 0.5305 0.1916 0.5092 1

NYC RFID Subway Turnstiles Spread

Reduce Credit Card APR: It Never Hurts To Ask

Reduce Credit Card APR: It Never Hurts To Ask

Acambras got her Citibank APR dropped from 13.99% to 2.99% just by asking.

Random Chance In A Godless Universe: Three Good Customer Service Experience

Random Chance In A Godless Universe: Three Good Customer Service Experience

Out Damned Spot! Help A Reader Clean His Citibank Credit

Ben — a man with perfect credit — needs help. Not Ben Popken, editor of this Mickey Mouse pajama publication. Ben A. — one of our most prolific tipsters.

Hedge Fund Notes Disconnect Between Bank Strategy and Execution. Duh.

Hedge Fund Notes Disconnect Between Bank Strategy and Execution. Duh.

Second Curve Capital is a hedge fund, managing hogsheads of cash in long-term investments on the stocks of banks and financial services. Most of the year is spent over ponderous goblets of brandies, smoking fine cigars at financiers’ gentlemen’s clubs, absorbing the exuberance and doldrums of bank CEOs and presidents.

What’s The Ultimate Banking Solution?

What’s The Ultimate Banking Solution?


• Freezing Conan O’ Brian? Bad customer service we can understand, Comcast, but that’s just vindictive. [Kevin Green]

Thunder Before The Storm? Another Citibank Account ‘Compromised’

Thunder Before The Storm? Another Citibank Account ‘Compromised’

Buckle yourselves in, boys and girls. Is this email we just received from Kate H. the first rumbling of another massive slate of Citibank security breaches?

Interviewing The Victims Of Identity Theft

Interviewing The Victims Of Identity Theft

The Dayton Daily News has a good article up interviewing the victims of identity theft and describing how their lives have changed because of it. Although we’re all concerned by the murky underworld of Eastern European hackers that prey upon badly secured financial records, the article is a good reminder that most identity theft actually originates with people close to you: friends, relatives and (natch) employees of the very institutions you trust to keep your financial details safe.